Has the time finally come to stop calling it eCommerce? In the minds of our team at Bolland & Co, it’s just been commerce for a long time now.
Nearly three years ago, Forbes talked about the death of eCommerce. This was nothing to do with declining online sales or a preference for high-street shopping. It was in fact a recognition that consumers don’t necessarily distinguish between the online and offline worlds. For customers, it’s just one brand, many channels.
# 1
C18H26F9Na3O24S3 | ωB97M-V/def2-TZVPD

Structure (XYZ):
```
83
Properties=species:S:1:pos:R:3:forces:R:3:lowdin_charge:R:1
Na 1.972 5.738 22.176 0.1 -0.1 -0.2 0.53
Na -3.178 4.977 20.208 0.8 0.0 0.3 0.74
Na 0.123 7.421 18.415 0.7 -0.2 0.7 0.55
C 3.978 5.412 18.234 -0.2 -0.1 0.1 -0.65
F 4.021 5.835 16.970 0.0 -0.1 -0.2 0.14
F 2.974 4.510 18.323 0.1 0.1 -0.1 0.09
F 5.114 4.773 18.504 0.0 0.0 0.0 0.15
S 3.721 6.826 19.370 0.5 0.9 -0.4 0.49
O 4.704 7.761 18.925 0.3 0.2 -0.1 -0.26
O 2.350 7.259 19.128 -0.6 -0.5 -0.1 -0.33
O 3.965 6.253 20.670 -0.7 -0.5 0.9 -0.30
C -1.953 8.666 22.387 -0.1 0.1 0.1 -0.65
F -1.576 9.936 22.296 -0.1 0.0 0.0 0.15
F -2.010 8.327 23.674 -0.1 0.0 0.0 0.14
F -3.188 8.549 21.871 0.1 0.1 0.0 0.12
S -0.766 7.572 21.482 0.6 0.0 0.4 0.54
O -0.037 8.464 20.609 -0.5 -0.2 -0.6 -0.28
O 0.043 6.986 22.528 0.0 -0.1 0.1 -0.29
O -1.618 6.597 20.814 -0.5 0.2 -0.4 -0.34
C 0.216 2.389 18.855 -0.2 0.1 -0.3 -0.63
F 1.279 2.382 18.039 -0.3 -0.1 0.3 0.12
F -0.885 2.179 18.117 0.4 -0.1 0.2 0.14
F 0.347 1.407 19.752 0.0 0.2 -0.3 0.15
S 0.016 4.001 19.710 -0.1 0.6 0.6 0.53
O -1.233 3.788 20.415 -0.6 -0.1 -0.1 -0.32
O 1.150 4.167 20.584 0.3 -0.2 0.1 -0.28
O -0.055 4.991 18.653 -0.2 0.1 -0.6 -0.29
C 1.003 5.956 15.765 0.1 -1.5 0.8 -0.13
C 0.695 4.450 15.674 -0.2 0.3 -0.5 -0.10
O 0.727 4.218 14.253 0.0 0.0 0.3 0.07
C 1.443 5.199 13.670 -0.1 0.1 0.3 -0.56
O 1.801 5.205 12.544 0.1 0.1 -0.3 0.18
O 1.703 6.193 14.571 0.0 0.3 -0.5 0.08
H 1.671 6.075 16.615 -0.1 0.6 0.0 0.10
H 0.078 6.533 15.842 0.1 0.3 -0.2 0.13
H -0.291 4.180 16.037 0.0 -0.1 0.1 0.13
H 1.474 3.855 16.143 0.0 0.0 0.1 0.11
C -0.450 -2.994 18.751 0.5 0.0 -1.6 -0.10
C 0.108 -1.563 18.642 -0.9 -0.7 2.0 -0.12
O -1.029 -0.843 18.160 0.4 0.1 -0.9 0.04
C -2.139 -1.614 18.183 0.3 0.0 0.5 -0.57
O -3.210 -1.257 17.819 -0.2 0.1 -0.1 0.17
O -1.871 -2.815 18.740 0.2 0.0 0.1 0.07
H -0.099 -3.601 19.577 -0.3 0.2 0.4 0.12
H -0.190 -3.523 17.825 -0.1 -0.1 0.2 0.13
H 1.026 -1.514 18.071 -0.3 0.3 -0.5 0.12
H 0.277 -1.171 19.651 0.3 0.0 -0.2 0.12
C 2.788 -2.484 20.895 -0.1 -0.9 0.6 -0.03
O 3.049 -1.571 19.848 -0.3 -0.4 -0.4 0.00
C 3.451 -0.357 20.198 0.6 0.1 0.1 -0.62
O 3.632 0.010 21.330 -0.1 0.3 0.0 0.12
O 3.669 0.337 19.088 -0.4 0.0 0.0 0.01
C 3.922 1.739 19.275 0.1 -0.1 0.3 -0.02
H 2.619 -1.998 21.854 0.1 0.2 -0.1 0.10
H 3.608 -3.199 21.008 0.1 0.3 -0.1 0.10
H 1.909 -3.081 20.650 0.0 0.3 -0.2 0.08
H 4.913 1.879 19.700 0.1 0.1 -0.1 0.11
H 3.182 2.164 19.952 0.0 0.0 -0.1 0.08
H 3.828 2.184 18.294 0.1 0.0 0.0 0.08
C 1.640 1.984 22.725 0.2 0.5 0.3 -0.01
O 0.265 2.348 22.979 0.0 -0.5 0.4 0.03
C 0.077 3.434 23.698 0.1 0.2 -0.2 -0.61
O 0.930 4.236 24.021 0.1 0.2 -0.2 0.10
O -1.206 3.532 24.021 0.0 -0.1 0.0 0.02
C -1.545 4.721 24.740 -0.5 0.2 0.2 -0.02
H 2.291 2.445 23.468 -0.1 0.1 -0.1 0.10
H 1.869 2.366 21.738 0.3 -0.3 0.0 0.05
H 1.767 0.914 22.830 -0.4 -0.1 -0.3 0.09
H -0.940 4.842 25.635 0.2 0.0 -0.1 0.10
H -2.583 4.608 25.050 0.0 -0.1 -0.1 0.10
H -1.458 5.592 24.092 0.2 0.0 0.1 0.08
# The calculated molecules stop here
Fast forward three years — and one pandemic — and the one brand, many channels approach rings true more than ever.
_Molecular data, as found in the file_
Record 1
C36H94N6O11 | the ωB97M-V functional and the def2-TZVPD basis

Highest occupied orbital energy   -8.29 eV
LUMO energy   0.4 eV
Total energy   -70314.124 eV
HOMO-LUMO gap   8.68 eV
Energy above the lowest of the compared OMol25 structures with the same formula, charge and spin   9.4 kcal per mole

ORCA input file:
```
! wB97M-V def2-TZVPD RIJCOSX def2/J DEFGRID3
* xyz 0 1
C 2.13229 -4.03363 0.19461
O 3.12809 -3.84636 -0.78246
C 3.04776 -2.63296 -1.51111
C 1.73082 -2.55123 -2.30063
C 1.66442 -3.66040 -3.34827
N 1.55664 -1.20792 -2.88002
H 2.04771 -3.12563 0.80763
H 2.42275 -4.87247 0.82166
H 1.14504 -4.24189 -0.23002
H 3.19261 -1.85053 -0.75516
H 3.90252 -2.63286 -2.18940
H 0.91598 -2.61983 -1.57672
H 2.50436 -3.60707 -4.04584
H 0.76239 -3.49202 -3.94246
H 1.64851 -4.65919 -2.91284
H 0.88551 -1.22147 -3.64591
H 2.41988 -0.90001 -3.32508
C 3.39716 3.00233 -2.25380
O 2.94711 2.77336 -0.93646
C 3.40362 1.55457 -0.36796
C 3.03727 1.48986 1.10324
C 2.98765 0.04340 1.58325
N 1.70244 2.08166 1.38921
H 2.90428 2.24911 -2.88194
H 4.47850 2.88143 -2.35126
H 3.10278 3.99377 -2.58365
H 2.84207 0.77464 -0.90306
H 4.48226 1.41716 -0.50147
H 3.76731 2.00040 1.73333
H 3.90538 -0.50299 1.36017
H 2.05659 -0.46981 1.34427
H 2.92388 0.11347 2.67519
H 1.82361 3.02530 1.00596
H 1.05956 1.72047 0.68357
C -1.35425 5.49948 -0.65417
O -1.63898 5.16485 -1.98719
C -0.48940 4.92970 -2.76519
C -0.92516 4.42591 -4.13925
C 0.24293 4.21939 -5.10742
N -1.80976 5.41758 -4.78924
H -0.96717 4.63404 -0.09748
H -2.32387 5.71775 -0.20390
H -0.69815 6.35020 -0.44370
H 0.07574 5.86214 -2.89889
H 0.16267 4.20084 -2.26357
H -1.48218 3.49024 -4.01346
H 0.84153 5.13903 -5.13302
H -0.07761 4.18409 -6.14935
H 0.94063 3.43630 -4.80968
H -2.61165 5.53851 -4.17282
H -2.17839 4.97178 -5.62444
C -2.29067 -2.61318 -1.23115
O -1.84793 -3.95062 -1.16119
C -2.88831 -4.86644 -0.94914
C -2.28466 -6.25184 -0.75958
N -1.49914 -6.61990 -1.93071
C -0.87074 -7.91023 -1.94487
C -0.10325 -8.09012 -3.25140
O 0.99569 -7.22646 -3.28469
C 1.52543 -7.03007 -4.56870
H -2.74127 -2.39511 -2.20658
H -1.38211 -2.01202 -1.13690
H -2.94604 -2.32105 -0.40443
H -3.66457 -4.84734 -1.71964
H -3.39880 -4.70677 0.01245
H -3.04077 -7.00212 -0.52586
H -1.59434 -6.16920 0.09636
H -0.97615 -5.80831 -2.22127
H -1.64534 -8.67397 -1.85457
H -0.15953 -7.99171 -1.10569
H -0.80014 -7.93405 -4.08258
H 0.23491 -9.13590 -3.28944
H 2.49696 -6.54059 -4.50942
H 0.83757 -6.51861 -5.24220
H 1.81295 -8.00574 -4.99049
C -0.57437 -0.40256 2.93964
O -0.30146 -0.87752 4.23626
C 0.96065 -1.47928 4.34370
C 0.98490 -2.46916 5.50378
N -0.17782 -3.33095 5.45471
C -0.33164 -4.13992 6.65379
C -1.61665 -4.96640 6.51505
O -1.74445 -5.98804 7.46851
C -0.79629 -7.02175 7.37540
H -1.50361 0.16622 2.94213
H -0.69505 -1.16767 2.16689
H 0.20474 0.29935 2.63076
H 1.79259 -0.76926 4.41084
H 1.17985 -2.01954 3.41074
H 1.05319 -1.86161 6.42230
H 1.91350 -3.04352 5.51884
H -0.99469 -2.73863 5.33904
H -0.38668 -3.56483 7.58702
H 0.52422 -4.81660 6.71976
2020’s big pivot
We all know the details of lockdown. There’s no need to go into it again. But the key point to highlight in the context of one brand, many channels is consumer desire. Regardless of what life is throwing at them, consumers want the favourite products that they usually consume.
And as we face increased winter restrictions and further isolation, this desire to continue consuming is yet again, becoming increasingly important. Those savvy brands that understood this during the initial lockdown were able to quickly pivot and enhance their online offer. This firstly catered to consumer demand and secondly offered their businesses an essential lifeline.
Some of these pivots were more expected than others. Consider the likes of London’s top fish and chip shops putting in place an eCommerce website and delivery operation within a couple of weeks. Beer brewery ShinDigger in Manchester hit the right note with their free delivery within the M60, while Bolland & Co was involved in bringing the offline experience of trying on a wedding dress online.
Yet, 6 months later, this has now just become the norm. In fact more than 85,000 UK businesses launched online stores or joined online marketplaces between April and August 2020. There won’t be any going back for these organisations.
And while this of course is key for the B2C market, more and more B2B businesses have been forced to replace traditional sales channels with eCommerce offerings too. Even the most traditional of businesses are recognising the need for an online presence – one brand, many channels.
But what does this mean for those businesses behind the scenes? And with increasing demand how are retailers coping?
The essential need for integration
The face of your eCommerce operation is the easy part. Creating a customer facing eCommerce experience is fairly simple. The speed at which many brands did this during lockdown was impressive. And many of these did provide intuitive user experiences.
But viewing it through the prism of the one brand, many channels approach highlights the importance of long-term thinking. A shiny new website might cater to short terms sales, but long term business efficiency and stability is built on integration.
Without digital integration across eCommerce, supply chain and finance, it is virtually impossible to achieve efficient cross-channel fulfilment. If there is a disconnect between your website and your warehouse, staff will spend hours manually inputting information. Mistakes can be made; time will be lost and inefficiencies begin to spiral out of control. When efficient connections are made and integrations in place, staff can better spend their time serving the needs of customers.
And by bringing all of your channels together, you can begin to build data streams to gleam more customer insight. This is truly the foundation on which to build the one brand, many channels approach.
By adopting this mindset and approach, you can begin to cater to your users intuitively. Cross-channel fulfilment, for example, enables customers to pay using one channel, receive items using a second, and return items using a third. A shared inventory means customers have complete up-to-date access to all products no matter how they choose to shop, and a complete order history across all channels means seamless customer experience.
It’s not enough to just understand the one brand, many channel approach; it’s a mantra that should be lived and breathed across all areas of your operation.
Black Friday, Cyber Monday and Corona-Christmas
The big numbers around eCommerce sales during Q2 and Q3 this year suggest online shopping is quickly becoming the preference of consumers. Overall online retail sales in June surged 33.9% YoY to a 12 year high.
This will likely be backed up by the fact that 40% of shoppers who’ve returned to physical stores find the experience less enjoyable that pre-Covid-19.
And while this might be the case, we’re still heading into uncharted waters around the big Q4 shopping days.
So, what do the stats tell us?
We know that around one in four brands expect to perform better this Black Friday than in previous years. Yet 70% of retailers also haven’t changed their plans for Black Friday and Cyber Monday, despite the impact of COVID-19. We also know that 3 out of 4 global shoppers plan to spend their usual festive budgets come Christmas, and that mobile will once again play an increasingly important role.
With the usual surges in website traffic during Black Friday and Cyber Monday potentially bigger than ever, a consumer that is difficult to predict and pin down, and increased winter restrictions, seamless cross-channel commerce will undoubtedly be put to the test in a Q4 like we’ve never seen before.
One brand, many channels has to be the mantra.

For more insights and articles, check out the second issue of The Colectiv – a digital publication from Bolland & Co.